The Ab-Solution!

Far too often I am sitting at the judging table and looking up at some of the best bodybuilders in the world, yet I am disappointed. One of the easiest muscle groups to develop goes untrained. I'm talking about the abdominals.

Far too often I am sitting at the judging table and looking up at some of the best bodybuilders in the world, yet I am disappointed. I know, I know, I have the best seat in the house and I get into all the shows for free, so what on earth is there to be disappointed about? First and foremost, bodybuilding is supposed to be about building the complete physique. Every single muscle group from head to toe is to be developed to its maximum potential, while flowing in complete synchronicity with each other, illustrating a symmetrical work of art, of herculean proportions. Yet, one of the easiest muscle groups to develop goes untrained or more often than not and is completely mistrained. I am talking about the abdominals.

How many of you have looked at contest pictures and said to yourselves, "Wow! That guy has great arms, and pecs," but at the same time you are let down by a bloated looking abdomen? You hear phrases like "GH Gut" and "Palumboism" or statements like, "That guy looks like he swallowed a beach ball."

**Crystal structures, kept here for reference**
~~~
Structure and calculated powder diffractogram of As3Pb2BrO6 (a PBE-relaxed structure; copper Kα).
Peak positions follow from Bragg's law for the DFT cell and can differ from measured ones.

Largest 8 diffraction maxima, low angle first, 10 to 80 degrees two-theta:
| d_spacing | intensity |
| --- | --- |
| 7.990 | 62 |
| 3.740 | 42 |
| 3.330 | 46 |
| 3.225 | 100 |
| 3.136 | 48 |
| 2.996 | 63 |
| 2.899 | 88 |
| 2.732 | 63 |

Crystal structure
Unit cell a=8.426 b=5.464 c=10.820 alpha=90.00 beta=108.51 gamma=90.00
Atoms (fractional coordinates):
As 0.100 0.250 0.179
As 0.108 0.250 0.841
As 0.226 0.250 0.581
As 0.774 0.750 0.419
As 0.892 0.750 0.159
As 0.900 0.750 0.821
Pb 0.343 0.750 0.389
Pb 0.461 0.750 0.779
Pb 0.539 0.250 0.221
Pb 0.657 0.250 0.611
Br 0.306 0.750 0.069
Br 0.694 0.250 0.931
O 0.020 0.503 0.260
O 0.020 0.997 0.260
O 0.269 0.250 0.763
O 0.304 0.250 0.294
O 0.373 0.007 0.588
O 0.373 0.493 0.588
O 0.627 0.507 0.412
O 0.627 0.993 0.412
O 0.696 0.750 0.706
O 0.731 0.750 0.237
O 0.980 0.003 0.740
O 0.980 0.497 0.740

---

Structure and calculated powder diffractogram of As3Pb5BrO12 (a PBE-relaxed structure; copper Kα).
Peak positions follow from Bragg's law for the DFT cell and can differ from measured ones.

Largest 8 diffraction maxima, low angle first, 10 to 80 degrees two-theta:
| d_spacing | intensity |
| --- | --- |
| 3.463 | 20 |
| 3.142 | 55 |
| 3.054 | 100 |
| 2.160 | 23 |
| 2.024 | 31 |
| 1.999 | 14 |
| 1.595 | 17 |
| 1.366 | 15 |

Crystal structure
Unit cell a=10.577 b=10.577 c=7.485 alpha=90.00 beta=90.00 gamma=120.00
Atoms (fractional coordinates):
As 0.030 0.409 0.250
As 0.379 0.970 0.250
As 0.409 0.379 0.750
As 0.591 0.621 0.250
As 0.621 0.030 0.750
As 0.970 0.591 0.750
Pb 0.018 0.755 0.250
Pb 0.245 0.263 0.250
Pb 0.263 0.018 0.750
Pb 0.333 0.667 0.505
Pb 0.333 0.667 0.995
Pb 0.667 0.333 0.005
Pb 0.667 0.333 0.495
Pb 0.737 0.982 0.250
Pb 0.755 0.737 0.750
Pb 0.982 0.245 0.750
Br 0.000 0.000 0.000
Br 0.000 0.000 0.500
O 0.094 0.358 0.067
O 0.094 0.358 0.433
O 0.125 0.600 0.250
O 0.156 0.660 0.750
O 0.264 0.906 0.067
O 0.264 0.906 0.433
O 0.340 0.495 0.750
O 0.358 0.264 0.567
O 0.358 0.264 0.933
O 0.400 0.526 0.250
O 0.474 0.875 0.250
O 0.495 0.156 0.250
O 0.505 0.844 0.750
O 0.526 0.125 0.750
O 0.600 0.474 0.750
O 0.642 0.736 0.067
O 0.642 0.736 0.433
O 0.660 0.505 0.250
O 0.736 0.094 0.567
O 0.736 0.094 0.933
O 0.844 0.340 0.250
O 0.875 0.400 0.750
O 0.906 0.642 0.567
O 0.906 0.642 0.933

---

Structure and calculated powder diffractogram of Rb3AsBr6 (a PBE-relaxed structure; copper Kα).
Peak positions follow from Bragg's law for the DFT cell and can differ from measured ones.

Largest 8 diffraction maxima, low angle first, 10 to 80 degrees two-theta:
| d_spacing | intensity |
| --- | --- |
| 5.912 | 23 |
| 4.180 | 27 |
| 3.413 | 70 |
| 2.956 | 100 |
| 2.090 | 67 |
| 1.783 | 24 |
| 1.707 | 22 |
| 1.322 | 24 |

Crystal structure
Unit cell a=8.361 b=8.361 c=8.361 alpha=60.00 beta=60.00 gamma=60.00
~~~
**The crystal structures stop here**

Who are we kidding? GH has been around since the 70's and 80's and the phrase "GH Gut" was still not yet invented. So, why didn't these guys have that "I just swallowed a beach ball" or "I'm about to go into labor" distended belly?

Well, I will tell you why. Bodybuilding in those days was not about the money, or the endorsements; it was about bodybuilding, plain and simple. The gym was frequented by the iron warriors that wanted nothing more than to get themselves into the best shape of their lives. They worked their complete midsection: obliques, serratus, abdominals, lower backs, and intercostals. These guys were doing core workouts during the days when the only core anybody spoke about was that of an apple.

So what exactly did they do to get this unparalleled midsection development? Well read on and I will fill you in!

Working The Midsection

First and foremost take a look at the group of muscle that make up the midsection. There is far more than just the abdominals. There are the intercostals, serratus, obliques, and of course the ones that are never seen but have a huge effect on the appearance of the midsection, the transverse abdominals. These are the muscles which are situated behind the "six pack" and if left untrained, can lead to the whole "GH Gut" look that none of us want to see, let alone have.

To work out these muscle groups we have a long varied list of effective exercises to choose from: crunches, leg raises, lateral crunches, Roman Chair Crunch, torso twists, hyper extensions and of course, the favorite of the newly certified fitness trainer, The Plank. Don't get me wrong, I think exercises such as The Plank are awesome, and I do them as part of my workout and recommend them to all of my clients. However, if not performed correctly none of these exercise, are going to do you any justice.

The trick is to ensure that you are performing each and every repetition 100% correctly; far too often you will read about people doing 50 reps for crunches or 100 reps for torso twists, this is all BS. When performing the exercises correctly, yielding a rep range of 20 is an achievement.

A Sample Workout

Roman Chair Crunch - 3 Sets 20 reps

The objective here is to work the lower portion of the abdominals. Once in position, keep the midsection tight. This is done by pulling the navel back towards the spine while blowing out. Raise the legs until they are parallel to the floor. On the negative phase, lower the legs slowly under complete control, ensuring that the abdominals are engaged during all phases of the movement.

Roman Chair Crunch
Roman Chair Crunch
Enlarge Click Image To Enlarge.
Roman Chair Crunch

Lateral Rope Crunch - 3 Sets 20 reps

Grasp the rope normally used for triceps extensions, then alternating your contracting from your left side to right, keep the midsection tight through the movement, sucking the navel back towards the spine while contracting the abdominals. This will put maximum tension on the serratus anterior.

Torso Twist - 3 Sets 20 reps

With a broom stick placed across the shoulders, alternate flexion from left to right, pausing in the centre or neutral position. I like to perform this exercise while sitting on the edge of a bench. The abdominals should be engaged as described in the previous exercises, contracting while trying to draw the navel towards the spine. This twisting movement will put major emphasis on the external obliques.

[Misplaced calculated crystals]
+++
Entry 1:
Structure and theoretical X-ray diffraction stick pattern of LiNdP4O12 (a structure optimized by DFT (PBE); Cu Kα (λ = 1.5418 Å)).
Kinematic intensities with the Lorentz-polarization factor, no thermal factor.

Cell and atoms:
```
data_LiNdP4O12
_space_group_name_H-M_alt 'C 1 2/c 1'
_space_group_IT_number 15
_cell_length_a 16.9568
_cell_length_b 7.1760
_cell_length_c 10.2124
_cell_angle_alpha 90.00
_cell_angle_beta 126.95
_cell_angle_gamma 90.00
loop_
_space_group_symop_operation_xyz
'x,y,z'
'-x,-y,-z'
'-x,y,-z+1/2'
'x,-y,z+1/2'
'x+1/2,y+1/2,z'
'-x+1/2,-y+1/2,-z'
'-x+1/2,y+1/2,-z+1/2'
'x+1/2,-y+1/2,z+1/2'
loop_
_atom_site_label
_atom_site_type_symbol
_atom_site_fract_x
_atom_site_fract_y
_atom_site_fract_z
Li1 Li 0.0000 0.0000 0.0000
Nd1 Nd 0.0000 0.2280 0.2500
P1 P 0.1356 0.4483 0.1112
P2 P 0.1497 0.1604 0.7060
O1 O 0.0708 0.4910 0.4362
O2 O 0.0798 0.0778 0.7349
O3 O 0.1053 0.2860 0.1653
O4 O 0.1185 0.1180 0.5350
O5 O 0.1600 0.3818 0.7356
O6 O 0.2419 0.4091 0.1519
```

Peak list (10 most intense, 2θ from 10° to 90°, low angle first)
2θ (°), I (rel.), (hkl)
13.07, 34.7, 2 0 0
15.09, 40.6, 1 1 -1
20.01, 100.0, 3 1 -1
21.79, 53.3, 0 0 2
27.15, 21.0, 2 2 -1
29.03, 25.0, 3 1 -3
30.45, 39.6, 3 1 1
31.70, 40.0, 6 0 -2
33.25, 19.6, 0 2 2
54.15, 15.3, 2 0 4

***

Entry 2:
Structure and theoretical X-ray diffraction stick pattern of LiNdP4O12 (a structure optimized by DFT (PBE); Cu Kα (λ = 1.5418 Å)).
Kinematic intensities with the Lorentz-polarization factor, no thermal factor.

Cell and atoms:
```
data_LiNdP4O12
_space_group_name_H-M_alt 'C 1 2/c 1'
_space_group_IT_number 15
_cell_length_a 16.6966
_cell_length_b 7.1761
_cell_length_c 9.9161
_cell_angle_alpha 90.00
_cell_angle_beta 126.42
_cell_angle_gamma 90.00
loop_
_space_group_symop_operation_xyz
'x,y,z'
'-x,-y,-z'
'-x,y,-z+1/2'
'x,-y,z+1/2'
'x+1/2,y+1/2,z'
'-x+1/2,-y+1/2,-z'
'-x+1/2,y+1/2,-z+1/2'
'x+1/2,-y+1/2,z+1/2'
loop_
_atom_site_label
_atom_site_type_symbol
_atom_site_fract_x
_atom_site_fract_y
_atom_site_fract_z
Li1 Li 0.0000 0.2033 0.2500
Nd1 Nd 0.0000 0.2981 0.7500
P1 P 0.1384 0.0545 0.6140
P2 P 0.1476 0.3444 0.1981
O1 O 0.0676 0.0059 0.4301
O2 O 0.0748 0.4058 0.2317
O3 O 0.1132 0.2142 0.6800
O4 O 0.1274 0.3865 0.0326
O5 O 0.1586 0.1217 0.2305
O6 O 0.2447 0.0848 0.6478
```

Peak list (10 most intense, 2θ from 10° to 90°, low angle first)
2θ (°), I (rel.), (hkl)
13.18, 40.1, 2 0 0
15.24, 40.9, 1 1 -1
20.20, 100.0, 3 1 -1
22.28, 75.9, 0 0 2
22.78, 25.5, 1 1 -2
27.25, 38.3, 2 2 -1
29.76, 25.8, 3 1 -3
30.75, 38.9, 3 1 1
32.19, 54.0, 6 0 -2
33.59, 19.5, 0 2 2

***

Entry 3:
Structure and theoretical X-ray diffraction stick pattern of LiPrNdO2 (a structure optimized by DFT (PBE); Cu Kα (λ = 1.5418 Å)).
Kinematic intensities with the Lorentz-polarization factor, no thermal factor.

Cell and atoms:
```
data_LiPrNdO2
_space_group_name_H-M_alt 'R 3 m'
_space_group_IT_number 160
_space_group_name_Hall 'R 3 -2"'
_cell_length_a 3.5678
_cell_length_b 3.5678
_cell_length_c 26.5492
+++

Torso Twist
Torso Twist
Enlarge Click Image To Enlarge.
Torso Twist (Shown With Barbell)

Lateral & Prone Plank - 3 Sets 30 seconds

• These data records were left in the piece by mistake:
'''
# 1
Theoretical X-ray diffraction stick pattern of Tb5Pr6Tm2 for Cu Kα (λ = 1.5418 Å), from a crystal structure in Alexandria, relaxed with PBE.

Main lines, low angle first (10° ≤ 2θ ≤ 90°):
2θ (°)	Rel. int.	(hkl)
30.79	45	4 1 0
30.99	100	1 7 0
31.38	15	3 5 0
31.70	94	2 3 1
33.74	33	2 4 1
36.15	34	3 3 1
50.20	18	0 0 2
51.15	12	1 10 1
60.04	16	4 1 2
60.19	16	1 7 2

Structural model:
```
data_Tb5Pr6Tm2
_cell_length_a 11.7310
_cell_length_b 20.8250
_cell_length_c 3.6346
_cell_angle_alpha 90.00
_cell_angle_beta 90.00
_cell_angle_gamma 90.00
_space_group_name_H-M_alt 'P b a m'
_space_group_IT_number 55
loop_
_space_group_symop_operation_xyz
'x,y,z'
'-x,-y,-z'
'-x,-y,z'
'x,y,-z'
'x+1/2,-y+1/2,-z'
'-x+1/2,y+1/2,z'
'-x+1/2,y+1/2,-z'
'x+1/2,-y+1/2,z'
loop_
_atom_site_label
_atom_site_fract_x
_atom_site_fract_y
_atom_site_fract_z
Tb1 0.0000 0.0000 0.0000
Tb2 0.0919 0.2723 0.0000
Tb3 0.1969 0.5563 0.0000
Pr1 0.0619 0.4189 0.5000
Pr2 0.0848 0.1320 0.5000
Pr3 0.1718 0.8624 0.0000
Tm1 0.1654 0.7092 0.5000
```

---

# 2
Theoretical X-ray diffraction stick pattern of Sc2CrNi for Cu Kα (λ = 1.5418 Å), from a crystal structure in Alexandria, relaxed with PBE.

Main lines, low angle first (10° ≤ 2θ ≤ 90°):
2θ (°)	Rel. int.	(hkl)
21.96	11	0 1 1
37.46	22	0 0 4
39.31	100	1 1 2
39.75	8	1 0 3
40.41	25	0 2 0
51.80	8	0 1 5
56.27	12	0 2 4
57.35	8	2 0 0
72.48	8	2 2 0
72.75	15	1 3 2

Structural model:
```
data_Sc2CrNi
_cell_length_a 3.2133
_cell_length_b 4.4643
_cell_length_c 9.6032
_cell_angle_alpha 90.00
_cell_angle_beta 90.00
_cell_angle_gamma 90.00
_space_group_name_H-M_alt 'I m m 2'
_space_group_IT_number 44
loop_
_space_group_symop_operation_xyz
'x,y,z'
'-x,-y,z'
'-x,y,z'
'x,-y,z'
'x+1/2,y+1/2,z+1/2'
'-x+1/2,-y+1/2,z+1/2'
'-x+1/2,y+1/2,z+1/2'
'x+1/2,-y+1/2,z+1/2'
loop_
_atom_site_label
_atom_site_fract_x
_atom_site_fract_y
_atom_site_fract_z
Sc1 0.0000 0.0000 0.0000
Sc2 0.0000 0.5000 0.2164
Cr1 0.0000 0.5000 0.7802
Ni1 0.0000 0.0000 0.4807
```

---

# 3
Theoretical X-ray diffraction stick pattern of PrEr12Al6 for Cu Kα (λ = 1.5418 Å), from a crystal structure in Alexandria, relaxed with PBE.

Main lines, low angle first (10° ≤ 2θ ≤ 90°):
2θ (°)	Rel. int.	(hkl)
22.35	27	2 0 2
27.86	48	1 1 3
28.94	100	1 3 1
33.79	49	3 0 3
34.70	15	3 2 1
35.03	22	0 4 2
40.42	16	3 3 0
42.33	28	5 0 2
50.45	15	3 1 5
56.16	18	3 5 1

Structural model:
```
data_PrEr12Al6
_cell_length_a 13.3891
_cell_length_b 13.3891
_cell_length_c 10.9398
_cell_angle_alpha 90.00
_cell_angle_beta 90.00
_cell_angle_gamma 120.00
_space_group_name_H-M_alt 'R -3 m'
_space_group_IT_number 166
_space_group_name_Hall '-R 3 2"'
loop_
_atom_site_label
_atom_site_fract_x
_atom_site_fract_y
_atom_site_fract_z
Pr1 0.0000 0.0000 0.0000
Er1 0.0000 0.3779 0.5000
Er2 0.0899 0.1798 0.3592
Al1 0.0292 0.5146 0.2710
```

---

# 4
Theoretical X-ray diffraction stick pattern of Zn2GaTe4 for Cu Kα (λ = 1.5418 Å), from a crystal structure in Alexandria, relaxed with PBE.

Main lines, low angle first (10° ≤ 2θ ≤ 90°):
'''

Starting with a left plank (while laying on the left side of your body raise yourself so that only your arm and feet are touching the exercise mat, your arms should make a 90 degree angle with your torso), hold for 30 seconds before moving to prone plank position (similar to the push up position except that you are in contact with the mat via, the feet and forearms only). Then perform right plank and reverse the process. When in the plank position, the emphasis should be on keeping the ears, shoulders, hips, knees, and ankles all in line. It's like a plank of wood, get it? This exercise has a clever name eh? Of course while in this position you will have to keep the midsection tight, sucking in, while contracting.

Lateral Plank
Lateral Plank
Enlarge Click Image To Enlarge.
Lateral Plank


So you will have noticed that I am really trying to drive home the fact that you keep tension on the abdominals throughout each and every exercise. The purpose of contracting the abdominals in that fashion is that it trains the muscles into adopting a neutral position. Focusing on drawing the navel back towards the spine recruits the transverse abdominals, the muscle sheath behind the abdominals. This approach to performing abdominal work is targeting that GH Gut and minimizing any chance of ever having a protruding midsection.

Exercises can be chopped and changed as with any other muscle specific workout while keeping it varied to avoid boredom, but utilizing the variety of movements to achieve a well rounded workout which yields unparalleled abdominal development is essential.

But remember, don't dismiss the abdominals they are the core of your physique and can help to avoid lower back injuries. From an aesthetic stand point, they are the fancy rims on your sports car. Without them, something just seems wrong.